Job:
It remains to reproduce the calculation results further below character by character.
Contents:
-- begin --
DFT (PBE-GGA) results for a relaxed Na2YSn2 crystal.

a = 8.9922 Å, b = 8.9922 Å, c = 3.2599 Å
α = 90.00°, β = 90.00°, γ = 90.00°
Atoms (fractional coordinates):
Sn  0.8134  0.3134  0.5000
Sn  0.1866  0.6866  0.5000
Sn  0.3134  0.1866  0.5000
Sn  0.6866  0.8134  0.5000
Na  0.1118  0.3882  0.0000
Na  0.6118  0.1118  0.0000
Y  0.0000  0.0000  0.0000
Y  0.5000  0.5000  0.0000
Na  0.8882  0.6118  0.0000
Na  0.3882  0.8882  0.0000

Values from the calculation:
Calculated formation energy (eV/atom): -0.187
ρ (g cm⁻³): 4.7
Symmetry: P4/mbm (127)
Energy relative to the lowest polymorph listed for this composition (kJ per mole of atoms): 0.0

***

DFT (PBE-GGA) results for a relaxed NaYSn crystal.

a = 5.3762 Å, b = 5.3762 Å, c = 3.6125 Å
α = 90.00°, β = 90.00°, γ = 120.00°
Atoms (fractional coordinates):
Y  0.0000  0.0000  0.0000
Sn  0.3333  0.6667  0.0000
Na  0.6667  0.3333  0.5000

Values from the calculation:
Calculated formation energy (eV/atom): -0.134
ρ (g cm⁻³): 4.2
Symmetry: P-6m2 (187)
Energy relative to the lowest polymorph listed for this composition (kJ per mole of atoms): 35.2

***

DFT (PBE-GGA) results for a relaxed Na10YbSn12 crystal.

a = 9.7494 Å, b = 9.7494 Å, c = 9.7494 Å
α = 109.47°, β = 109.47°, γ = 109.47°
Site moments in Bohr magnetons follow the coordinates.
Atoms (fractional coordinates):
Na  0.7500  0.5000  0.2500  0.00
Sn  0.0000  0.1884  0.3710  0.00
Na  0.5000  0.2500  0.7500  0.00
Sn  0.1884  0.0000  0.3710  0.00
Sn  0.1884  0.3710  0.0000  0.00
Sn  0.3710  0.1884  0.0000  0.00
Na  0.0000  0.6149  0.0000  0.00
Sn  0.3710  0.0000  0.1884  0.00
Na  0.3851  0.3851  0.3851  0.00
Na  0.2500  0.5000  0.7500  0.00
Na  0.5000  0.7500  0.2500  0.00
Sn  0.0000  0.3710  0.1884  0.00
Na  0.7500  0.2500  0.5000  0.00
Sn  0.8174  0.6290  0.6290  0.00
Yb  0.0000  0.0000  0.0000  0.26
Sn  0.6290  0.8174  0.6290  0.00
Na  0.2500  0.7500  0.5000  0.00
Sn  0.1826  0.8116  0.8116  0.00
Sn  0.8116  0.8116  0.1826  0.00
Na  0.6149  0.0000  0.0000  0.00
Sn  0.6290  0.6290  0.8174  0.00
Na  0.0000  0.0000  0.6149  0.00
Sn  0.8116  0.1826  0.8116  0.00

Values from the calculation:
Calculated formation energy (eV/atom): -0.272
ρ (g cm⁻³): 4.3
Symmetry: I-43m (217)

***

DFT (PBE-GGA) results for a relaxed Na2Zn2Sn crystal.

a = 4.2965 Å, b = 4.2965 Å, c = 7.2540 Å
α = 72.77°, β = 72.77°, γ = 90.00°
Atoms (fractional coordinates):
Na  0.2500  0.7500  0.5000
Zn  0.5923  0.5923  0.8154
Zn  0.4077  0.4077  0.1846
Sn  0.0000  0.0000  0.0000
Na  0.7500  0.2500  0.5000

Values from the calculation:
Calculated formation energy (eV/atom): 0.167
ρ (g cm⁻³): 4.0
Symmetry: I4/mmm (139)
Energy relative to the lowest polymorph listed for this composition (kJ per mole of atoms): 25.9

***

DFT (PBE-GGA) results for a relaxed Na2ZnSn4 crystal.

a = 5.6366 Å, b = 6.0993 Å, c = 7.2947 Å
α = 114.71°, β = 90.00°, γ = 90.00°
Atoms (fractional coordinates):
Sn  0.5000  0.6075  0.2150
Sn  0.0000  0.7082  0.4164
Na  0.5000  0.1467  0.2933
Sn  0.5000  0.3925  0.7850
Na  0.5000  0.8533  0.7067
Sn  0.0000  0.2918  0.5836
Zn  0.0000  0.5000  0.0000

Values from the calculation:
Calculated formation energy (eV/atom): 0.047
ρ (g cm⁻³): 4.3
Symmetry: Cmmm (65)

***

DFT (PBE-GGA) results for a relaxed NaZn3Sn crystal.

a = 4.2245 Å, b = 7.4302 Å, c = 6.9521 Å
α = 73.58°, β = 89.82°, γ = 90.01°
Atoms (fractional coordinates):
Zn  0.4749  0.0732  0.5262
Zn  0.4753  0.9564  0.9241
Zn  0.9762  0.3960  0.9774
Na  0.9746  0.8650  0.2720
Zn  0.4754  0.1810  0.1355
Na  0.4775  0.4879  0.6297
Sn  0.4753  0.5658  0.1415
Sn  0.9765  0.7867  0.7600
Zn  0.9756  0.1715  0.7659
Zn  0.9750  0.2804  0.3754

Values from the calculation:
Calculated formation energy (eV/atom): -0.037
ρ (g cm⁻³): 5.4
Symmetry: P1 (1)
Energy relative to the lowest polymorph listed for this composition (kJ per mole of atoms): 0.0
-- stop --
Completed:
DFT (PBE-GGA) results for a relaxed Na2YSn2 crystal.

a = 8.9922 Å, b = 8.9922 Å, c = 3.2599 Å
α = 90.00°, β = 90.00°, γ = 90.00°
Atoms (fractional coordinates):
Sn  0.8134  0.3134  0.5000
Sn  0.1866  0.6866  0.5000
Sn  0.3134  0.1866  0.5000
Sn  0.6866  0.8134  0.5000
Na  0.1118  0.3882  0.0000
Na  0.6118  0.1118  0.0000
Y  0.0000  0.0000  0.0000
Y  0.5000  0.5000  0.0000
Na  0.8882  0.6118  0.0000
Na  0.3882  0.8882  0.0000

Values from the calculation:
Calculated formation energy (eV/atom): -0.187
ρ (g cm⁻³): 4.7
Symmetry: P4/mbm (127)
Energy relative to the lowest polymorph listed for this composition (kJ per mole of atoms): 0.0

***

DFT (PBE-GGA) results for a relaxed NaYSn crystal.

a = 5.3762 Å, b = 5.3762 Å, c = 3.6125 Å
α = 90.00°, β = 90.00°, γ = 120.00°
Atoms (fractional coordinates):
Y  0.0000  0.0000  0.0000
Sn  0.3333  0.6667  0.0000
Na  0.6667  0.3333  0.5000

Values from the calculation:
Calculated formation energy (eV/atom): -0.134
ρ (g cm⁻³): 4.2
Symmetry: P-6m2 (187)
Energy relative to the lowest polymorph listed for this composition (kJ per mole of atoms): 35.2

***

DFT (PBE-GGA) results for a relaxed Na10YbSn12 crystal.

a = 9.7494 Å, b = 9.7494 Å, c = 9.7494 Å
α = 109.47°, β = 109.47°, γ = 109.47°
Site moments in Bohr magnetons follow the coordinates.
Atoms (fractional coordinates):
Na  0.7500  0.5000  0.2500  0.00
Sn  0.0000  0.1884  0.3710  0.00
Na  0.5000  0.2500  0.7500  0.00
Sn  0.1884  0.0000  0.3710  0.00
Sn  0.1884  0.3710  0.0000  0.00
Sn  0.3710  0.1884  0.0000  0.00
Na  0.0000  0.6149  0.0000  0.00
Sn  0.3710  0.0000  0.1884  0.00
Na  0.3851  0.3851  0.3851  0.00
Na  0.2500  0.5000  0.7500  0.00
Na  0.5000  0.7500  0.2500  0.00
Sn  0.0000  0.3710  0.1884  0.00
Na  0.7500  0.2500  0.5000  0.00
Sn  0.8174  0.6290  0.6290  0.00
Yb  0.0000  0.0000  0.0000  0.26
Sn  0.6290  0.8174  0.6290  0.00
Na  0.2500  0.7500  0.5000  0.00
Sn  0.1826  0.8116  0.8116  0.00
Sn  0.8116  0.8116  0.1826  0.00
Na  0.6149  0.0000  0.0000  0.00
Sn  0.6290  0.6290  0.8174  0.00
Na  0.0000  0.0000  0.6149  0.00
Sn  0.8116  0.1826  0.8116  0.00

Values from the calculation:
Calculated formation energy (eV/atom): -0.272
ρ (g cm⁻³): 4.3
Symmetry: I-43m (217)

***

DFT (PBE-GGA) results for a relaxed Na2Zn2Sn crystal.

a = 4.2965 Å, b = 4.2965 Å, c = 7.2540 Å
α = 72.77°, β = 72.77°, γ = 90.00°
Atoms (fractional coordinates):
Na  0.2500  0.7500  0.5000
Zn  0.5923  0.5923  0.8154
Zn  0.4077  0.4077  0.1846
Sn  0.0000  0.0000  0.0000
Na  0.7500  0.2500  0.5000

Values from the calculation:
Calculated formation energy (eV/atom): 0.167
ρ (g cm⁻³): 4.0
Symmetry: I4/mmm (139)
Energy relative to the lowest polymorph listed for this composition (kJ per mole of atoms): 25.9

***

DFT (PBE-GGA) results for a relaxed Na2ZnSn4 crystal.

a = 5.6366 Å, b = 6.0993 Å, c = 7.2947 Å
α = 114.71°, β = 90.00°, γ = 90.00°
Atoms (fractional coordinates):
Sn  0.5000  0.6075  0.2150
Sn  0.0000  0.7082  0.4164
Na  0.5000  0.1467  0.2933
Sn  0.5000  0.3925  0.7850
Na  0.5000  0.8533  0.7067
Sn  0.0000  0.2918  0.5836
Zn  0.0000  0.5000  0.0000

Values from the calculation:
Calculated formation energy (eV/atom): 0.047
ρ (g cm⁻³): 4.3
Symmetry: Cmmm (65)

***

DFT (PBE-GGA) results for a relaxed NaZn3Sn crystal.

a = 4.2245 Å, b = 7.4302 Å, c = 6.9521 Å
α = 73.58°, β = 89.82°, γ = 90.01°
Atoms (fractional coordinates):
Zn  0.4749  0.0732  0.5262
Zn  0.4753  0.9564  0.9241
Zn  0.9762  0.3960  0.9774
Na  0.9746  0.8650  0.2720
Zn  0.4754  0.1810  0.1355
Na  0.4775  0.4879  0.6297
Sn  0.4753  0.5658  0.1415
Sn  0.9765  0.7867  0.7600
Zn  0.9756  0.1715  0.7659
Zn  0.9750  0.2804  0.3754

Values from the calculation:
Calculated formation energy (eV/atom): -0.037
ρ (g cm⁻³): 5.4
Symmetry: P1 (1)
Energy relative to the lowest polymorph listed for this composition (kJ per mole of atoms): 0.0